Page 72 of God of Ruin

My lips part and I stare at him as if he’s an alien who came with the sole purpose of wiping out humanity.

“Your face says you’re wondering how I know. Reading people comes naturally to me; they’re rather predictable and dreadfully boring.” He pauses, lips thinning as if he doesn’t want to admit what follows. “You’re not. Predictable and boring, I mean. Because even though I desiccated your fear, I’m still unable to figure out the reason behind it. I’m impressed. Others wouldn’t have lasted more than a few hours in your position, but you’re still going strong. I applaud the determination.”

“Should I feel honored?”

“Preferably.” He leans his elbows on his knees and steeples his fingers near his chin. “But first, let’s work on that mystery.”

I knock down his knight. “If by mystery you mean the missing ball situation you’ll suffer from by the end of tonight, then sure. Let’s go for it.”

“Stop having violent thoughts for a second.” He advances his queen to protect his rook. “I’m more interested in the incident that stole your voice. Tell me more.”




“How aboutprettyplease?”

“Still no.”

“Pity. I thought you’d crumble for my carefully crafted charming persona, but you don’t like nice and charming, do you, little muse? I have a feeling that you prefer being chased and cornered while you fight for your life.”

I knock down his queen with a huge grin, then throw it at him. He catches it with a sly tilt of his gorgeous lips.

“Let’s try again, and I need your mind to be open to other options aside from no.” He strokes his dead queen like he does his unfeeling statues. “You can tell me the reason behind your mutism, or as a second, less preferable option, we can discuss your kinks.”

“How about no to both?”

“Let’s make a bet,” he says, completely ignoring my words. “If I win, we’ll talk about the silence situation. If you win, it’s the kinks.”

“Nice try. But that’s not how it works, you narcissistic psycho. When you give a choice, you have to give up something when you lose.”

**Next to the page, the page also holds calculated molecules**
~~~
Entry 1:
This record from the Open Molecules 2025 dataset describes a structure of composition C9H9Br27. The level of theory is ωB97M-V with the def2-TZVPD basis set.

Geometry (Å):
C1 -1.10453 6.08058 2.23999
Br1 -0.86709 6.70239 4.06709
Br2 -2.92261 6.29871 1.47340
Br3 -0.54258 4.24573 2.19548
H1 -0.42327 6.63213 1.56144
C2 -4.00386 0.70911 1.41320
Br4 -2.57275 -0.52473 0.94283
Br5 -3.45751 2.58201 1.12166
Br6 -4.54812 0.32021 3.25685
H2 -4.74058 0.50197 0.69117
C3 2.26457 0.76236 3.16401
Br7 3.05981 2.36917 2.49712
Br8 0.73855 1.15031 4.37731
Br9 3.43335 -0.53499 3.85115
H3 1.87981 0.38018 2.24644
C4 1.31380 4.10015 -4.52681
Br10 0.04614 4.92543 -5.66836
Br11 0.51751 3.49005 -2.91437
Br12 3.11830 5.01729 -4.31814
H4 1.73791 3.24585 -5.00892
C5 1.41366 -0.19628 -0.79177
Br13 0.96485 -1.85490 0.08288
Br14 3.30971 0.05542 -1.24669
Br15 0.64380 1.29023 0.09430
H5 1.05014 -0.10631 -1.80300
C6 -3.91881 1.75814 -3.66901
Br16 -3.02293 3.14647 -4.72163
Br17 -2.89194 1.32543 -2.19203
Br18 -4.28828 0.28857 -4.86867
H6 -4.86930 2.09990 -3.30474
C7 -1.70567 -3.90246 -2.37337
Br19 -1.25551 -2.11222 -2.86409
Br20 -2.38632 -4.94164 -3.90272
Br21 -2.72105 -4.05907 -0.72939
H7 -0.67987 -4.33068 -2.40347
C8 1.63719 -4.86345 5.69396
Br22 -0.14491 -5.45405 5.98035
Br23 2.14302 -5.00457 3.76620
Br24 2.92305 -5.82052 6.76470
H8 1.72792 -3.75720 5.86679
C9 3.82268 -4.37093 -1.18076
Br25 5.49518 -3.61220 -1.57238
Br26 3.80667 -5.86146 0.06728
Br27 2.67324 -4.65119 -2.68294
H9 3.34661 -3.51893 -0.67236

Values from the calculation:
HOMO-LUMO gap ... 9.56 eV
E_LUMO ... -0.0213 hartree
HOMO level ... -10.14 eV
~~~


“If you win, we’ll talk about perverted kinks.”That I don’t have.“If I win, you become my slave boy.”

“Oh?” He raises a brow. “I didn’t realize you had that kink you naughty,naughtygirl. I do refuse, however, as I’m too dominant to ever be a slave to anyone, including the devil himself. I’d rather strap women up and tie them down as I fuck them to within an inch of their lives.”

“I don’t mean sexually, you pervert. I meant that you’ll have to do everything I tell you and serve me until I’m satisfied.”

“For how long?”

“A week.”

• Unrelated to this page: records of molecules:
'''
The following is a DFT calculation (wB97M-V/def2-TZVPD) of 11 unconnected molecules or ions with the total composition C16H54N10O11.

Properties
HOMO: -8.157 eV
Kohn-Sham gap: 0.284 Ha

Atoms and positions in Å:
N1 4.47600 19.11000 -3.13200
C1 5.57200 19.31000 -2.40300
N2 6.23500 18.22900 -2.27100
O1 5.97300 20.57000 -1.91400
H1 3.78100 19.87800 -3.33200
H2 3.98200 18.31200 -3.58500
H3 6.92400 18.30900 -1.57200
H4 5.88400 17.27300 -2.57400
N3 7.99200 17.47100 4.94600
C2 9.24400 17.35200 4.71100
N4 9.80500 16.17400 4.87100
O2 9.96200 18.45200 4.42000
H5 7.56800 18.39600 4.85800
H6 7.43600 16.70000 5.21800
H7 10.81300 16.05600 4.65200
H8 9.21100 15.30800 4.78600
N5 5.70700 21.69000 5.46100
C3 6.10600 20.85400 4.52100
N6 5.24400 20.73000 3.57300
O3 7.22900 20.05600 4.60400
H9 6.24300 21.98200 6.28600
H10 4.88300 22.32400 5.34600
H11 5.32500 20.01900 2.87600
H12 4.53800 21.45700 3.34500
N7 0.42800 17.75400 2.03200
C4 1.05400 18.86100 2.01400
N8 1.79300 18.98400 0.97400
O4 0.97200 19.72500 3.02700
H13 0.09100 17.52200 2.96800
H14 0.36700 17.07300 1.27300
H15 2.46400 19.74200 0.92600
H16 1.81900 18.42800 0.12800
N9 10.68700 18.39300 1.69900
C5 11.59600 19.07900 1.05500
N10 12.73800 19.09700 1.67700
O5 11.45200 19.53300 -0.17300
H17 9.80700 18.24500 1.20800
H18 10.58800 18.29800 2.73500
H19 13.56000 19.54900 1.15800
H20 12.84100 18.52400 2.59400
C6 8.98700 21.39900 1.55600
C7 7.72500 21.14000 0.79300
O6 7.78400 21.88000 -0.36600
H21 8.88700 20.85700 2.45500
H22 9.35100 22.41200 1.71100
H23 9.90900 21.06700 1.13900
H24 6.90000 21.45600 1.46700
H25 7.57000 20.13900 0.41500
H26 6.89700 22.03400 -0.72000
C8 8.82000 16.35100 -2.15400
C9 9.44700 16.88600 -0.88900
O7 8.65600 18.01100 -0.30300
H27 7.82000 16.24900 -1.83900
H28 9.12100 15.40400 -2.64000
H29 8.82100 17.03800 -2.96200
H30 10.52200 17.07000 -0.95200
H31 9.41900 16.00100 -0.20400
H32 8.62500 18.77300 -0.91900
C10 5.27700 16.17800 5.07200
C11 4.53100 17.49000 4.84000
O8 3.73100 17.91800 5.91300
H33 6.00500 16.11500 4.29600
H34 4.64900 15.36000 5.23200
H35 5.83600 16.20700 5.96800
H36 3.91800 17.24900 3.98100
H37 5.33100 18.23200 4.68600
H38 3.24400 18.70700 5.66900
C12 4.39800 14.80400 0.40900
C13 3.66400 16.10000 0.06000
O9 3.34300 16.68200 1.29400
H39 3.84500 13.92900 0.76400
H40 5.25200 15.10100 1.02000
H41 4.76000 14.46700 -0.59300
H42 2.79600 15.73200 -0.57300
H43 4.32500 16.62200 -0.52200
H44 2.50300 17.17100 1.14800
C14 7.90800 14.78300 1.55000
C15 8.96400 13.75300 1.31400
O10 9.84100 13.94500 2.46200
H45 7.12700 14.82800 0.76100
H46 8.30500 15.75900 1.60700
H47 7.48100 14.74200 2.50900
H48 9.56800 13.81700 0.39100
H49 8.46700 12.83300 1.34000
H50 9.84000 13.13400 3.01100
C16 6.30900 17.87300 1.74500
O11 5.11600 18.70800 1.56900
H51 6.31900 17.33500 0.79200
H52 6.13500 17.17800 2.58800
H53 7.31300 18.37600 1.88700
H54 4.41400 18.08300 1.34000
'''

“Hmm. You got yourself a deal.”

“Your queen is dead and so are you.” I push the first of two pawns protecting his king. One more move and he’s done for.

Of course, he’ll move his king out of the way, but if he does that, he’ll be cornered by my bishop. It’s over on all accounts.

Landon’s annoying smirk remains in place as he moves that damn rook right next to my king and out of reach of my queen and bishop.


I stare at the board, refusing to believe what I’m seeing.

Between two parts of the page: data records =
# 1
Computed, not measured: a cluster of 8 separate species, C16H36N4O20 in total at a distorted geometry, with the ωB97M-V functional and the def2-TZVPD basis.

## Properties
- LUMO level: 0.10 eV
- Frontier orbital gap: 10.91 eV
- Structure (SMILES): C[N+](=O)[O-].C[N+](=O)[O-].C[N+](=O)[O-].C[N+](=O)[O-].COC(=O)OC.COC(=O)OC.COC(=O)OC.COC(=O)OC
- Total energy: -2354.68237 hartree

XYZ file:
```
76
Properties=species:S:1:pos:R:3:forces:R:3
O 1.81067 1.59827 -0.93480 -0.095 -0.525 -0.513
O 4.06909 -1.69475 -3.29808 0.337 0.030 -0.612
O 5.54275 4.09828 -2.12255 0.323 -0.569 -0.366
O -3.68367 2.00188 1.20602 0.525 1.019 -0.257
O 4.04511 0.97600 2.46962 -0.464 -0.655 0.454
O 0.09176 1.37045 0.50440 0.017 0.403 -1.147
O -4.18036 0.76272 -3.55214 -0.156 -2.441 0.814
O -0.22987 0.96828 -1.67806 2.122 0.337 0.030
O 5.01306 2.60462 1.27906 0.416 0.800 0.416
O -2.73660 -4.71284 4.27325 -1.189 -0.003 -0.255
O -1.81180 -3.31318 2.90392 -1.653 -0.453 -0.559
O 3.89601 -1.77617 -1.19248 0.985 -0.248 2.439
O -4.33867 -0.00242 0.96661 -0.148 -0.489 -0.430
O 2.21727 -3.79362 0.63787 0.535 1.650 0.758
O -4.91952 -0.52032 -1.87805 0.393 -0.051 -1.520
O -4.05631 -3.68149 2.72711 -0.929 -0.023 -0.224
O 4.81378 5.39735 -0.60719 0.019 0.807 1.107
O -4.24929 -1.52504 -3.83450 0.009 1.382 1.055
O 1.76778 -1.69340 0.67252 -1.928 1.651 -0.355
O 5.10541 0.50985 0.55948 -1.029 0.016 1.404
N 4.67434 4.50562 -1.39374 -1.314 -0.520 -0.943
N 2.44062 -2.61844 0.97722 1.342 -2.174 -0.192
N 3.42572 -1.68755 -2.27141 -0.561 0.344 -2.460
N -4.49709 1.19056 0.85997 -1.645 -0.159 1.107
C -3.95424 -5.19288 4.92126 1.051 -0.289 -0.082
C 0.66388 1.31945 -0.71964 -1.300 0.145 0.752
C 4.55247 3.57464 2.27028 -0.718 -0.730 -0.741
C 3.25062 3.92252 -1.51159 1.532 -0.291 -0.830
C -1.99396 -2.45843 1.75894 0.638 0.823 -0.172
C 5.65354 0.94999 -0.66520 0.193 0.965 -0.260
C 4.65215 1.34833 1.51125 1.104 -0.131 -1.138
C -3.65321 0.82974 -4.89037 -0.227 0.593 0.272
C 1.96395 -1.56596 -2.41433 -0.166 -1.127 0.624
C -4.41453 -0.54587 -3.12905 -0.341 0.600 -1.189
C -1.58386 0.91686 -1.34327 -0.891 0.387 1.992
C 0.95013 1.85122 1.55201 1.463 -0.834 -1.796
C 3.65770 -2.27655 1.78024 0.114 -0.567 0.313
C -3.00839 -3.89458 3.24316 2.729 0.139 0.707
C -5.26137 -1.83256 -1.38103 -0.061 0.324 1.307
C -5.88098 1.70216 0.42031 1.022 -0.804 -0.619
H -6.28656 -1.78127 -0.98306 0.412 0.074 -0.131
H -3.38219 1.86465 -4.94800 0.297 0.552 -0.317
H 3.41649 -2.61706 2.78216 0.003 0.052 0.223
H -5.66434 2.21614 -0.48396 0.151 0.723 -0.753
H -6.49036 0.85583 0.12768 -0.030 -0.150 0.512
H 6.70933 1.09173 -0.55980 0.803 0.000 0.213
H 3.87653 -1.19330 1.77864 -0.376 -0.814 -0.295
H 4.11359 3.03758 3.10787 0.368 0.209 0.141
H 1.61697 -1.40160 -1.41688 -0.535 -0.064 0.364
H -4.52194 -5.87517 4.27531 0.284 0.194 0.150
H 1.61726 -2.52764 -2.81729 0.033 0.412 0.108
H -4.55806 -1.99518 -0.54883 -0.428 -0.358 -0.373
H -1.70087 0.40430 -0.38817 -0.193 -0.119 -0.080
H -5.20901 -2.58367 -2.15235 0.192 -0.079 -0.144

It couldn’t be.